**Excerpt:**
[1]
{
  "formula": "CaFe4W",
  "functional": "PBE-GGA",
  "state": "optimized geometry",
  "spacegroup": "No. 216",
  "dft_energy_ev_per_atom": -7.824,
  "formation_energy_mev_per_atom": 311,
  "dos_ef_per_ev_fu": 3.538,
  "lattice_angstrom": [[2.0352, 3.4078, 2.8925], [-2.8059, 3.4610, 2.0664], [-0.8268, -0.0757, 4.8407]],
  "species": ["W", "Ca", "Fe", "Fe", "Fe", "Fe"],
  "fractional_positions": [[0.2500, 0.2500, 0.2500], [0.0000, 0.0000, 0.0000], [0.6241, 0.1277, 0.6241], [0.6241, 0.6241, 0.1277], [0.1277, 0.6241, 0.6241], [0.6241, 0.6241, 0.6241]]
}

[2]
{
  "formula": "U5Pb3O12",
  "functional": "PBE-GGA",
  "state": "optimized geometry",
  "spacegroup": "No. 230",
  "dft_energy_ev_per_atom": -8.708,
  "dos_ef_per_ev_fu": 23.458,
  "lattice_angstrom": [[12.2662, 0.0000, 0.0000], [-4.0887, 11.5647, 0.0000], [-4.0887, -5.7823, 10.0153]],
  "species": ["O", "O", "O", "O", "O", "O", "O", "O", "O", "O", "O", "O", "O", "O", "O", "O", "O", "O", "O", "O", "O", "O", "O", "O", "O", "O", "O", "O", "O", "O", "O", "O", "O", "O", "O", "O", "O", "O", "O", "O", "O", "O", "O", "O", "O", "O", "O", "O", "U", "U", "U", "U", "U", "U", "U", "U", "U", "U", "U", "U", "U", "U", "U", "U", "U", "U", "U", "U", "Pb", "Pb", "Pb", "Pb", "Pb", "Pb", "Pb", "Pb", "Pb", "Pb", "Pb", "Pb"],
  "fractional_positions": [[0.8253, 0.9135, 0.3029], [0.1106, 0.4135, 0.0882], [0.8894, 0.3029, 0.4777], [0.6971, 0.5865, 0.1747], [0.9118, 0.8253, 0.5223], [0.0223, 0.4118, 0.8253], [0.5865, 0.8894, 0.4118], [0.4777, 0.6747, 0.0882], [0.6747, 0.4777, 0.5882], [0.6747, 0.1971, 0.5865], [0.9777, 0.5882, 0.1747], [0.5882, 0.9777, 0.6747], [0.5223, 0.1971, 0.1106], [0.3029, 0.4135, 0.8253], [0.1747, 0.0865, 0.6971], [0.1971, 0.5223, 0.6106], [0.0865, 0.9118, 0.3894], [0.4118, 0.0223, 0.3253], [0.8029, 0.3253, 0.9135], [0.5223, 0.3253, 0.9118], [0.0882, 0.9135, 0.1106], [0.9777, 0.3894, 0.3029], [0.0223, 0.6106, 0.6971], [0.0882, 0.1747, 0.4777], [0.3894, 0.4118, 0.0865], [0.3253, 0.8029, 0.4135], [0.0865, 0.1747, 0.1971], [0.8894, 0.5865, 0.9118], [0.6106, 0.5882, 0.9135], [0.4118, 0.3894, 0.5865], [0.3029, 0.8894, 0.9777], [0.3253, 0.5223, 0.4118], [0.3894, 0.9777, 0.8029], [0.9118, 0.0865, 0.8894], [0.8253, 0.9118, 0.0223], [0.1971, 0.6747, 0.0865], [0.1747, 0.0882, 0.9777], [0.6971, 0.1106, 0.0223], [0.1106, 0.6971, 0.5223], [0.9135, 0.8253, 0.8029], [0.4135, 0.1106, 0.5882], [0.6106, 0.0223, 0.1971], [0.8029, 0.4777, 0.3894], [0.4135, 0.3029, 0.3253], [0.5865, 0.6971, 0.6747], [0.5882, 0.6106, 0.4135], [0.9135, 0.0882, 0.6106], [0.4777, 0.8029, 0.8894], [0.3750, 0.2500, 0.1250], [0.0000, 0.5000, 0.0000], [0.1250, 0.7500, 0.3750], [0.0000, 0.5000, 0.5000], [0.2500, 0.3750, 0.6250], [0.3750, 0.1250, 0.7500], [0.5000, 0.0000, 0.5000], [0.6250, 0.8750, 0.2500], [0.8750, 0.2500, 0.6250], [0.7500, 0.1250, 0.8750], [0.0000, 0.0000, 0.5000], [0.5000, 0.0000, 0.0000], [0.5000, 0.5000, 0.5000], [0.0000, 0.0000, 0.0000], [0.1250, 0.3750, 0.2500], [0.7500, 0.6250, 0.3750], [0.2500, 0.8750, 0.1250], [0.5000, 0.5000, 0.0000], [0.8750, 0.6250, 0.7500], [0.6250, 0.7500, 0.8750], [0.3750, 0.6250, 0.2500], [0.6250, 0.2500, 0.3750], [0.1250, 0.2500, 0.8750], [0.2500, 0.1250, 0.3750], [0.7500, 0.8750, 0.6250], [0.8750, 0.7500, 0.1250], [0.1250, 0.8750, 0.7500], [0.3750, 0.7500, 0.6250], [0.2500, 0.6250, 0.8750], [0.6250, 0.3750, 0.7500], [0.8750, 0.1250, 0.2500], [0.7500, 0.3750, 0.1250]]
}

**Wanted:**
Reproduce everything further up word for word.

**Worked solution:**
[1]
{
  "formula": "CaFe4W",
  "functional": "PBE-GGA",
  "state": "optimized geometry",
  "spacegroup": "No. 216",
  "dft_energy_ev_per_atom": -7.824,
  "formation_energy_mev_per_atom": 311,
  "dos_ef_per_ev_fu": 3.538,
  "lattice_angstrom": [[2.0352, 3.4078, 2.8925], [-2.8059, 3.4610, 2.0664], [-0.8268, -0.0757, 4.8407]],
  "species": ["W", "Ca", "Fe", "Fe", "Fe", "Fe"],
  "fractional_positions": [[0.2500, 0.2500, 0.2500], [0.0000, 0.0000, 0.0000], [0.6241, 0.1277, 0.6241], [0.6241, 0.6241, 0.1277], [0.1277, 0.6241, 0.6241], [0.6241, 0.6241, 0.6241]]
}

[2]
{
  "formula": "U5Pb3O12",
  "functional": "PBE-GGA",
  "state": "optimized geometry",
  "spacegroup": "No. 230",
  "dft_energy_ev_per_atom": -8.708,
  "dos_ef_per_ev_fu": 23.458,
  "lattice_angstrom": [[12.2662, 0.0000, 0.0000], [-4.0887, 11.5647, 0.0000], [-4.0887, -5.7823, 10.0153]],
  "species": ["O", "O", "O", "O", "O", "O", "O", "O", "O", "O", "O", "O", "O", "O", "O", "O", "O", "O", "O", "O", "O", "O", "O", "O", "O", "O", "O", "O", "O", "O", "O", "O", "O", "O", "O", "O", "O", "O", "O", "O", "O", "O", "O", "O", "O", "O", "O", "O", "U", "U", "U", "U", "U", "U", "U", "U", "U", "U", "U", "U", "U", "U", "U", "U", "U", "U", "U", "U", "Pb", "Pb", "Pb", "Pb", "Pb", "Pb", "Pb", "Pb", "Pb", "Pb", "Pb", "Pb"],
  "fractional_positions": [[0.8253, 0.9135, 0.3029], [0.1106, 0.4135, 0.0882], [0.8894, 0.3029, 0.4777], [0.6971, 0.5865, 0.1747], [0.9118, 0.8253, 0.5223], [0.0223, 0.4118, 0.8253], [0.5865, 0.8894, 0.4118], [0.4777, 0.6747, 0.0882], [0.6747, 0.4777, 0.5882], [0.6747, 0.1971, 0.5865], [0.9777, 0.5882, 0.1747], [0.5882, 0.9777, 0.6747], [0.5223, 0.1971, 0.1106], [0.3029, 0.4135, 0.8253], [0.1747, 0.0865, 0.6971], [0.1971, 0.5223, 0.6106], [0.0865, 0.9118, 0.3894], [0.4118, 0.0223, 0.3253], [0.8029, 0.3253, 0.9135], [0.5223, 0.3253, 0.9118], [0.0882, 0.9135, 0.1106], [0.9777, 0.3894, 0.3029], [0.0223, 0.6106, 0.6971], [0.0882, 0.1747, 0.4777], [0.3894, 0.4118, 0.0865], [0.3253, 0.8029, 0.4135], [0.0865, 0.1747, 0.1971], [0.8894, 0.5865, 0.9118], [0.6106, 0.5882, 0.9135], [0.4118, 0.3894, 0.5865], [0.3029, 0.8894, 0.9777], [0.3253, 0.5223, 0.4118], [0.3894, 0.9777, 0.8029], [0.9118, 0.0865, 0.8894], [0.8253, 0.9118, 0.0223], [0.1971, 0.6747, 0.0865], [0.1747, 0.0882, 0.9777], [0.6971, 0.1106, 0.0223], [0.1106, 0.6971, 0.5223], [0.9135, 0.8253, 0.8029], [0.4135, 0.1106, 0.5882], [0.6106, 0.0223, 0.1971], [0.8029, 0.4777, 0.3894], [0.4135, 0.3029, 0.3253], [0.5865, 0.6971, 0.6747], [0.5882, 0.6106, 0.4135], [0.9135, 0.0882, 0.6106], [0.4777, 0.8029, 0.8894], [0.3750, 0.2500, 0.1250], [0.0000, 0.5000, 0.0000], [0.1250, 0.7500, 0.3750], [0.0000, 0.5000, 0.5000], [0.2500, 0.3750, 0.6250], [0.3750, 0.1250, 0.7500], [0.5000, 0.0000, 0.5000], [0.6250, 0.8750, 0.2500], [0.8750, 0.2500, 0.6250], [0.7500, 0.1250, 0.8750], [0.0000, 0.0000, 0.5000], [0.5000, 0.0000, 0.0000], [0.5000, 0.5000, 0.5000], [0.0000, 0.0000, 0.0000], [0.1250, 0.3750, 0.2500], [0.7500, 0.6250, 0.3750], [0.2500, 0.8750, 0.1250], [0.5000, 0.5000, 0.0000], [0.8750, 0.6250, 0.7500], [0.6250, 0.7500, 0.8750], [0.3750, 0.6250, 0.2500], [0.6250, 0.2500, 0.3750], [0.1250, 0.2500, 0.8750], [0.2500, 0.1250, 0.3750], [0.7500, 0.8750, 0.6250], [0.8750, 0.7500, 0.1250], [0.1250, 0.8750, 0.7500], [0.3750, 0.7500, 0.6250], [0.2500, 0.6250, 0.8750], [0.6250, 0.3750, 0.7500], [0.8750, 0.1250, 0.2500], [0.7500, 0.3750, 0.1250]]
}